[To do]
Please print the whole of the rows below with every line break kept.
[Given]
<<<
Entry 1:
Crystalline SrTaNb3 at its relaxed geometry, computed with PBE-GGA.

Values from the calculation:
DFT total energy, eV per atom: -6.14
DFT formation energy, eV/atom: 2.61
DOS at the Fermi energy, states/eV per cell: 9.52
Crystal system: cubic

Lattice parameters (Å, degrees): 4.811 4.811 4.811 90.00 90.00 90.00
Space group Pm-3m (No. 221)
Symmetry-distinct sites (fractional):
Sr 0.000 0.000 0.000 (multiplicity 1)
Ta 0.500 0.500 0.500 (multiplicity 1)
Nb 0.000 0.000 0.500 (multiplicity 3)

---

Entry 2:
Crystalline KTbMgS3 at its relaxed geometry, computed with PBE-GGA.

Values from the calculation:
DFT total energy, eV per atom: -4.95
ΔE_f (raw), meV per atom: -1668
DOS at the Fermi energy, states/eV per cell: 0.00
Crystal system: monoclinic

Lattice parameters (Å, degrees): 8.721 4.122 9.831 90.00 106.95 90.00
Space group P2_1/m (No. 11)
Symmetry-distinct sites (fractional):
K 0.201 0.250 0.212 (multiplicity 2)
Tb 0.334 0.750 0.863 (multiplicity 2)
Mg 0.084 0.250 0.609 (multiplicity 2)
S 0.116 0.250 0.860 (multiplicity 2)
S 0.199 0.750 0.546 (multiplicity 2)
S 0.459 0.750 0.149 (multiplicity 2)

---

Entry 3:
Crystalline ScInGaCu at its relaxed geometry, computed with PBE-GGA.

Values from the calculation:
DFT total energy, eV per atom: -4.28
DFT formation energy, eV/atom: -0.23
DOS at the Fermi energy, states/eV per cell: 5.78
Crystal system: cubic

Lattice parameters (Å, degrees): 6.647 6.647 6.647 90.00 90.00 90.00
Space group F-43m (No. 216)
Symmetry-distinct sites (fractional):
Sc 0.000 0.000 0.000 (multiplicity 4)
In 0.000 0.000 0.500 (multiplicity 4)
Ga 0.250 0.250 0.750 (multiplicity 4)
Cu 0.250 0.250 0.250 (multiplicity 4)

---

Entry 4:
Crystalline TlHg2Ru at its relaxed geometry, computed with PBE-GGA.

Values from the calculation:
DFT total energy, eV per atom: -2.51
DFT formation energy, eV/atom: 0.56
DOS at the Fermi energy, states/eV per cell: 4.15
Crystal system: orthorhombic

Lattice parameters (Å, degrees): 3.546 4.626 5.047 90.00 90.00 90.00
Space group Pmmm (No. 47)
Symmetry-distinct sites (fractional):
Tl 0.000 0.000 0.000 (multiplicity 1)
Hg 0.000 0.500 0.500 (multiplicity 1)
Hg 0.500 0.000 0.500 (multiplicity 1)
Ru 0.500 0.500 0.000 (multiplicity 1)

---

Entry 5:
Crystalline NaCo3S at its relaxed geometry, computed with PBE-GGA.

Values from the calculation:
DFT total energy, eV per atom: -3.36
ΔE_f (raw), meV per atom: 1994
DOS at the Fermi energy, states/eV per cell: 7.97
Crystal system: cubic

Lattice parameters (Å, degrees): 4.438 4.438 4.438 90.00 90.00 90.00
Space group Pm-3m (No. 221)
Symmetry-distinct sites (fractional):
Na 0.000 0.000 0.000 (multiplicity 1)
Co 0.000 0.000 0.500 (multiplicity 3)
S 0.500 0.500 0.500 (multiplicity 1)

---

Entry 6:
Crystalline Na2SnGeSe4 at its relaxed geometry, computed with PBE-GGA.

Values from the calculation:
DFT total energy, eV per atom: -3.81
ΔE_f (raw), meV per atom: -662
Crystal system: orthorhombic

Lattice parameters (Å, degrees): 9.915 7.738 6.323 90.00 90.00 90.00
Space group Pmn2_1 (No. 31)
Symmetry-distinct sites (fractional):
Na 0.248 0.178 0.000 (multiplicity 4)
Sn 0.000 0.704 0.016 (multiplicity 2)
Ge 0.000 0.344 0.559 (multiplicity 2)
Se 0.000 0.365 0.941 (multiplicity 2)
Se 0.000 0.644 0.447 (multiplicity 2)
Se 0.208 0.202 0.474 (multiplicity 4)


1.
Below is TiPtF2 after structural relaxation, with properties calculated at the PBE-GGA level.

Energy relative to the lowest polymorph listed for this composition in eV per atom: 0.000
ρ in g/cm3: 6.8

Lattice parameters (Å, degrees): 10.3585 10.3585 10.3585 15.44 15.44 15.44
Closest atoms and distances in Å follow each position.
Atoms (fractional coordinates):
F 0.9417 0.9417 0.9417  1 Ti 1.79
F 0.0583 0.0583 0.0583  1 Ti 1.79
Pt 0.5000 0.5000 0.5000  6 Pt 2.78
Ti 0.0000 0.0000 0.0000  2 F 1.79

2.
Below is TiTl2PtF after structural relaxation, with properties calculated at the PBE-GGA level.

ρ in g/cm3: 9.8
DFT total energy in eV per atom: -4.374
>>>
[Written answer]
Entry 1:
Crystalline SrTaNb3 at its relaxed geometry, computed with PBE-GGA.

Values from the calculation:
DFT total energy, eV per atom: -6.14
DFT formation energy, eV/atom: 2.61
DOS at the Fermi energy, states/eV per cell: 9.52
Crystal system: cubic

Lattice parameters (Å, degrees): 4.811 4.811 4.811 90.00 90.00 90.00
Space group Pm-3m (No. 221)
Symmetry-distinct sites (fractional):
Sr 0.000 0.000 0.000 (multiplicity 1)
Ta 0.500 0.500 0.500 (multiplicity 1)
Nb 0.000 0.000 0.500 (multiplicity 3)

---

Entry 2:
Crystalline KTbMgS3 at its relaxed geometry, computed with PBE-GGA.

Values from the calculation:
DFT total energy, eV per atom: -4.95
ΔE_f (raw), meV per atom: -1668
DOS at the Fermi energy, states/eV per cell: 0.00
Crystal system: monoclinic

Lattice parameters (Å, degrees): 8.721 4.122 9.831 90.00 106.95 90.00
Space group P2_1/m (No. 11)
Symmetry-distinct sites (fractional):
K 0.201 0.250 0.212 (multiplicity 2)
Tb 0.334 0.750 0.863 (multiplicity 2)
Mg 0.084 0.250 0.609 (multiplicity 2)
S 0.116 0.250 0.860 (multiplicity 2)
S 0.199 0.750 0.546 (multiplicity 2)
S 0.459 0.750 0.149 (multiplicity 2)

---

Entry 3:
Crystalline ScInGaCu at its relaxed geometry, computed with PBE-GGA.

Values from the calculation:
DFT total energy, eV per atom: -4.28
DFT formation energy, eV/atom: -0.23
DOS at the Fermi energy, states/eV per cell: 5.78
Crystal system: cubic

Lattice parameters (Å, degrees): 6.647 6.647 6.647 90.00 90.00 90.00
Space group F-43m (No. 216)
Symmetry-distinct sites (fractional):
Sc 0.000 0.000 0.000 (multiplicity 4)
In 0.000 0.000 0.500 (multiplicity 4)
Ga 0.250 0.250 0.750 (multiplicity 4)
Cu 0.250 0.250 0.250 (multiplicity 4)

---

Entry 4:
Crystalline TlHg2Ru at its relaxed geometry, computed with PBE-GGA.

Values from the calculation:
DFT total energy, eV per atom: -2.51
DFT formation energy, eV/atom: 0.56
DOS at the Fermi energy, states/eV per cell: 4.15
Crystal system: orthorhombic

Lattice parameters (Å, degrees): 3.546 4.626 5.047 90.00 90.00 90.00
Space group Pmmm (No. 47)
Symmetry-distinct sites (fractional):
Tl 0.000 0.000 0.000 (multiplicity 1)
Hg 0.000 0.500 0.500 (multiplicity 1)
Hg 0.500 0.000 0.500 (multiplicity 1)
Ru 0.500 0.500 0.000 (multiplicity 1)

---

Entry 5:
Crystalline NaCo3S at its relaxed geometry, computed with PBE-GGA.

Values from the calculation:
DFT total energy, eV per atom: -3.36
ΔE_f (raw), meV per atom: 1994
DOS at the Fermi energy, states/eV per cell: 7.97
Crystal system: cubic

Lattice parameters (Å, degrees): 4.438 4.438 4.438 90.00 90.00 90.00
Space group Pm-3m (No. 221)
Symmetry-distinct sites (fractional):
Na 0.000 0.000 0.000 (multiplicity 1)
Co 0.000 0.000 0.500 (multiplicity 3)
S 0.500 0.500 0.500 (multiplicity 1)

---

Entry 6:
Crystalline Na2SnGeSe4 at its relaxed geometry, computed with PBE-GGA.

Values from the calculation:
DFT total energy, eV per atom: -3.81
ΔE_f (raw), meV per atom: -662
Crystal system: orthorhombic

Lattice parameters (Å, degrees): 9.915 7.738 6.323 90.00 90.00 90.00
Space group Pmn2_1 (No. 31)
Symmetry-distinct sites (fractional):
Na 0.248 0.178 0.000 (multiplicity 4)
Sn 0.000 0.704 0.016 (multiplicity 2)
Ge 0.000 0.344 0.559 (multiplicity 2)
Se 0.000 0.365 0.941 (multiplicity 2)
Se 0.000 0.644 0.447 (multiplicity 2)
Se 0.208 0.202 0.474 (multiplicity 4)


1.
Below is TiPtF2 after structural relaxation, with properties calculated at the PBE-GGA level.

Energy relative to the lowest polymorph listed for this composition in eV per atom: 0.000
ρ in g/cm3: 6.8

Lattice parameters (Å, degrees): 10.3585 10.3585 10.3585 15.44 15.44 15.44
Closest atoms and distances in Å follow each position.
Atoms (fractional coordinates):
F 0.9417 0.9417 0.9417  1 Ti 1.79
F 0.0583 0.0583 0.0583  1 Ti 1.79
Pt 0.5000 0.5000 0.5000  6 Pt 2.78
Ti 0.0000 0.0000 0.0000  2 F 1.79

2.
Below is TiTl2PtF after structural relaxation, with properties calculated at the PBE-GGA level.

ρ in g/cm3: 9.8
DFT total energy in eV per atom: -4.374